
Using message queues for outbound calls

Many of you familiar with Microsoft Speech Server/Office Communications Server are likely aware that the preferred way to place outbound calls is through a message queue.  I spent some time looking through our documentation and noticed that we have a decent amount of info on how to setup your message queue, but few details on how to write an application that makes use of one.

For those of you not familiar with message queues, the best place for information is MSDN.  Start with the MessageQueue and Message objects and move to the bottom of the articles for other suggested pages.  I will not cover how to open and write to message queues here as there are numerous examples on the web already for this.  Basically the way it works is you place messages in a queue through an application or service that you write and Speech Server reads the messages from the queue and uses them to place calls.

Since any outbound call triggered is really just an HTTP request, you might wonder why it is better to let Speech Server manage calls this way rather than just placing HTTP requests yourself.  MSS does a number of things for you here.  For one, you can set the maximum number of outbound calls that can be made at one time and we will not pull messages from the queue if there are no available channels.  If the queue becomes unavailable at any time (perhaps it is on a remote machine that has been powered down), we will keep retrying every ten seconds.  We also save you a good deal of coding.

There are two limitations of the message queue capabilities of Speech Server that I must call out here.  The first is that, though you can have multiple applications running on the same machine each listening to a different queue, no two applications may listen to the same queue.  If you really need to do something like this, you will need to create a 'driver' application that receives the messages and transfers the call to the appropriate application.

The second limitation (or 'feature') is that if the call is not answered, not reachable, or busy you must place the message back on the queue yourself.  It will not be replaced automatically.  If you are unsure how to detect whether a call is in one of these states, see the outbound call and outbound call custom activity sample applications that ship with MSS.  Note that the outbound call workflow sample makes use of a message queue, which is one reason why I did not include sample code here.  This sample code shows how to place a message in the queue and how to programmatically determine the message queue assigned to the current application.

_Data records, kept here for reference_
____________
[1]
Entry from OQMD via LeMat-Bulk: a geometry-optimized ZrFeCuAs structure (PBE).

Output
* space-group type: No. 216
* relative energy among the computed polymorphs: 0.108 eV per atom

Unit cell a=4.463 b=4.463 c=4.463 alpha=60.00 beta=60.00 gamma=60.00
Element x y z (fractional)
1 Zr 0.000 0.000 0.000
2 Fe 0.750 0.750 0.750
3 Cu 0.500 0.500 0.500
4 As 0.250 0.250 0.250



[2]
Entry from OQMD via LeMat-Bulk: a geometry-optimized Nb3SiB2 structure (PBE).

Output
* energy: -104.99 eV for the cell shown
* space-group type: No. 194

Unit cell a=3.268 b=3.268 c=17.969 alpha=90.00 beta=90.00 gamma=120.00
Element x y z (fractional)
1 Nb 0.000 0.000 0.000
2 Nb 0.000 0.000 0.500
3 Nb 0.333 0.667 0.144
4 Nb 0.333 0.667 0.356
5 Nb 0.667 0.333 0.644
6 Nb 0.667 0.333 0.856
7 Si 0.000 0.000 0.250
8 Si 0.000 0.000 0.750
9 B 0.333 0.667 0.575
10 B 0.333 0.667 0.925
11 B 0.667 0.333 0.075
12 B 0.667 0.333 0.425



[3]
Entry from OQMD via LeMat-Bulk: a geometry-optimized Gd3Pd4 structure (PBE).

Output
* space-group type: No. 148
* E_form: -0.91 eV/atom

Unit cell a=7.937 b=7.937 c=7.937 alpha=114.33 beta=114.33 gamma=114.33
Element x y z (fractional)
1 Gd 0.025 0.405 0.277
2 Gd 0.277 0.025 0.405
3 Gd 0.405 0.277 0.025
4 Gd 0.595 0.723 0.975
5 Gd 0.723 0.975 0.595
6 Gd 0.975 0.595 0.723
7 Pd 0.000 0.000 0.000
8 Pd 0.063 0.227 0.552
9 Pd 0.227 0.552 0.063
10 Pd 0.448 0.937 0.773
11 Pd 0.500 0.500 0.500
12 Pd 0.552 0.063 0.227
13 Pd 0.773 0.448 0.937
14 Pd 0.937 0.773 0.448
____________

Setting up a queue for MSS is in the documentation but if you are lazy like myself there are three main things you need to do.

1) Create the queue.  The queue can be remote or local and public or private.  In general a local queue will give you the best performance for obvious reasons.  See the message queue documentation for the differences between the different types of queues.

2) On Windows Server 2003, make sure the Network Service account has access to the queue.  On XP (for debugging purposes only), make sure the ASP.Net account has access to the queue.

3) Specify the queue for the application by right clicking on the application in the Administration Console and selecting properties.

The last question you probably have is how to make use of the contents of the message to determine what to do for the outbound call (such as who you should call).  There are two ways you can do this.

1) The body of the message is deserialized to a string by MSS and added to the application URL.  So, if you add a message with the body "OutboundPhoneNumber=5551212", you can retrieve the phone number by reading the query string using code similar to the following

outboundNumber = Uri.UnescapeDataString(QueryString["OutboundPhoneNumber"]);

2) The Message object itself is accessible using the MsmqMessage property of the IApplicationHost object.  This is particularly useful if you subclassed the Message object to create your own message information.